Senior managers and Covid-19 absences: FCA publishes further details on its expectations for solo-regulated firms
Published on 13th May 2020
UK financial authority temporarily adjusts rules for firms solely under its regulation that need to cover or reallocate authorised senior management functions due to coronavirus disruptions

On 6 May 2020, the Financial Conduct Authority (FCA) published a "modification by consent" for solo-regulated firms using temporary arrangements in respect of their senior managers as it looks to demonstrate regulatory flexibility during the Covid-19 pandemic.
The FCA's latest statement on the Senior Managers and Certification Regime (SM&CR) outlining expectations for firms during the Covid-19 emergency follows a joint statement in April with the Prudential Regulation Authority on the pandemic and the SM&CR for dual-regulated firms.
Extension of '12-week rule'
The modification extends the maximum period in which an individual can stand in for a senior manager without receiving regulatory approval – known as the "12-week rule" – from a maximum of 12 weeks in a consecutive 12-month period to a maximum of 36 weeks in a consecutive 12-month period.
This means that where, for example, a firm needs to replace a senior manager who is absent due to Covid-19, or a firm has experienced a delay in recruiting a senior manager's replacement due to Covid-19, the firm can rely on the extended period in respect of temporary cover.
The modification also allows firms to allocate an absent senior manager's prescribed responsibilities to the individual covering the role, even if that individual does not have regulatory approval. In this situation, a firm should consider whether it would need to recertify the individual who has taken on the prescribed responsibilities in accordance with the FCA's certification rules.
[Unrelated to this article: calculated crystals]
Record 1
A geometry-optimized Sc6CN structure. Source: Alexandria via LeMat-Bulk, functional PBE.

Results
The total energy is -7.475 eV per atom. The calculation puts the raw formation energy at -0.53 eV per atom. The density is 3.10 g cm⁻³.

Geometry as CIF:
```
data_Sc6CN
_space_group_name_H-M_alt 'P 1'
_space_group_IT_number 1
_space_group_name_Hall 'P 1'
_cell_length_a 5.6203
_cell_length_b 5.7072
_cell_length_c 5.7072
_cell_angle_alpha 60.00
_cell_angle_beta 90.01
_cell_angle_gamma 89.99
loop_
_atom_site_label
_atom_site_fract_x
_atom_site_fract_y
_atom_site_fract_z
_atom_site_occupancy
Sc1 0.7519 0.3258 0.0208 1
Sc2 0.2481 0.0208 0.3258 1
Sc3 0.7521 0.7158 0.3257 1
Sc4 0.2480 0.7157 0.0208 1
Sc5 0.7520 0.0208 0.7157 1
Sc6 0.2479 0.3257 0.7158 1
C1 0.5000 0.0207 0.0207 1
N1 0.0000 0.0208 0.0208 1
```

=====

Record 2
A geometry-optimized BaCaBr structure. Source: Alexandria via LeMat-Bulk, functional PBE.

Results
The total energy is -2.754 eV per atom. The calculation puts the raw formation energy at -0.89 eV per atom. The density is 3.53 g cm⁻³.

Geometry as CIF:
```
data_BaCaBr
_space_group_name_H-M_alt 'P 1'
_space_group_IT_number 1
_space_group_name_Hall 'P 1'
_cell_length_a 4.1620
_cell_length_b 4.1590
_cell_length_c 16.1656
_cell_angle_alpha 90.00
_cell_angle_beta 90.00
_cell_angle_gamma 120.02
loop_
_atom_site_label
_atom_site_fract_x
_atom_site_fract_y
_atom_site_fract_z
_atom_site_occupancy
Ca1 0.6129 0.2257 0.0000 1
Ca2 0.2750 0.5500 0.5000 1
Br1 0.2792 0.5584 0.1204 1
Br2 0.2792 0.5584 0.8796 1
Ba1 0.6102 0.2203 0.2878 1
Ba2 0.6102 0.2203 0.7122 1
```

=====

Record 3
A geometry-optimized PmSi3IrRu structure. Source: Alexandria via LeMat-Bulk, functional PBE.

Results
The total energy is -7.075 eV per atom. The calculation puts the raw formation energy at -0.55 eV per atom. The density is 7.33 g cm⁻³.

Geometry as CIF:
```
data_PmSi3IrRu
_space_group_name_H-M_alt 'P 1'
_space_group_IT_number 1
_space_group_name_Hall 'P 1'
_cell_length_a 5.6691
_cell_length_b 6.2610
_cell_length_c 7.3671
_cell_angle_alpha 115.15
_cell_angle_beta 90.00
_cell_angle_gamma 90.00
loop_
_atom_site_label
_atom_site_fract_x
_atom_site_fract_y
_atom_site_fract_z
_atom_site_occupancy
Si1 0.5000 0.2878 0.0000 1
Si2 0.5000 0.7122 0.0000 1
Si3 0.2500 0.2260 0.4520 1
Si4 0.7500 0.7740 0.5480 1
Si5 0.0000 0.2878 0.0000 1
Si6 0.0000 0.7122 0.0000 1
Ir1 0.7500 0.6061 0.2122 1
Ir2 0.2500 0.3939 0.7878 1
Ru1 0.7500 0.9401 0.8802 1
Ru2 0.2500 0.0599 0.1198 1
Pm1 0.2500 0.8059 0.6117 1
Pm2 0.7500 0.1941 0.3883 1
```

=====

Which formula does entry 3 have? PmSi3IrRu

=====

What is the formula in the third record? PmSi3IrRu

=====

No. 1
Cs3ReBr6 PBE-GGA relaxed; space group = Fm-3m; density of states at the Fermi level = 8.86 states/eV/cell; ΔE_f (raw) = -1026.8 kJ/mol of formula units; energy = -3.569 eV per atom
1.0
-2.567 4.237 -6.771
-7.621 0.830 3.409
-3.403 7.620 0.861
Cs Br Re
3 6 1
direct
0.500 0.500 0.000 Cs
0.250 0.750 0.500 Cs
0.750 0.250 0.500 Cs
The FCA says the intention of the modification is to give firms flexibility in "a period of uncertainty". The regulator also aims to reduce the administrative burden on firms by removing the need for them to submit Form A or Form J applications and Statements of Responsibilities (SoRs) notifications, if the changes are temporary and directly related to the pandemic.
While the modification does provide some flexibility, the FCA still expects firms to be mindful of the seniority and suitability of the person standing in for the absent senior manager. In respect of prescribed responsibilities, the FCA states that, if possible, they should be allocated to another approved senior manager. The FCA also reminds firms that they should still allocate responsibilities to the most senior person responsible for that activity or area, who has sufficient authority and an appropriate level of knowledge and competence to carry out the responsibility properly.
As set out in the FCA's previous guidance on its approach to the Covid-19 pandemic, the regulator does not expect firms to submit updated SoRs where the change to responsibilities:
- is made to cover multiple sickness absences or other temporary changes in responsibilities in direct response to the pandemic; and
- is temporary and the firm expects to revert to its previous arrangements.
Nevertheless, firms should keep clear internal records of any allocation of responsibilities regardless of how temporary they are. This includes updating relevant SoRs and, if applicable, a responsibilities map. These updates will help to ensure that there is clarity on who is responsible for each area and activity. The records are also advisable in case the FCA does request evidence of such allocations either now or in the future.
Furloughing senior managers
Firms may furlough senior managers if they are unable to fulfil their responsibilities or where there is a reduced requirement for their roles. For example, if a firm suspends a business service or function due to the disruption caused by Covid-19 it could, in principle, furlough the senior manager responsible for it. Firms can also furlough senior managers that are absent due to illness or have caring responsibilities, subject to the rules of the Coronavirus Job Retention Scheme.
The FCA has confirmed that furloughed senior managers will retain their regulatory approvals and will not need to be re-approved on their return.
In respect of individuals performing "required functions", for example, compliance oversight (SMF16), the money laundering reporting officer (SMF17) and the limited scope function (SMF29), the FCA has said that these individuals should only be furloughed "as a last resort". If any of these individuals are furloughed, the firm should replace the furloughed individual until their return and if the replacement is temporary, firms can use the 12-week rule to arrange cover.
Firms should update their FCA supervisors of any furloughing of one or more senior managers.
Details of how to apply for the modification are here. The FCA's webpage on its expectations of solo-regulated firms is here.
If you need further advice on this issue please get in touch with the contacts below.